# Given
{"formula": "C48H123F6N24O10P6S2", "method": "wB97M-V/def2-TZVPD", "fmax_ev_per_a": 3.22, "total_energy_ha": -7413.3044, "homo_lumo_gap_ev": 8.46, "total_charge": -1, "lumo_energy_ev": 1.7, "mol_weight_g_mol": 1560.64, "species": ["C", "F", "F", "F", "S", "O", "O", "N", "S", "O", "O", "C", "F", "F", "F", "O", "P", "N", "C", "C", "N", "C", "C", "N", "C", "C", "H", "H", "H", "H", "H", "H", "H", "H", "H", "H", "H", "H", "H", "H", "H", "H", "H", "H", "O", "P", "N", "C", "C", "N", "C", "C", "N", "C", "C", "H", "H", "H", "H", "H", "H", "H", "H", "H", "H", "H", "H", "H", "H", "H", "H", "H", "H", "O", "P", "N", "C", "C", "N", "C", "C", "N", "C", "C", "H", "H", "H", "H", "H", "H", "H", "H", "H", "H", "H", "H", "H", "H", "H", "H", "H", "H", "O", "P", "N", "C", "C", "N", "C", "C", "N", "C", "C", "H", "H", "H", "H", "H", "H", "H", "H", "H", "H", "H", "H", "H", "H", "H", "H", "H", "H", "O", "P", "N", "C", "C", "N", "C", "C", "N", "C", "C", "H", "H", "H", "H", "H", "H", "H", "H", "H", "H", "H", "H", "H", "H", "H", "H", "H", "H", "O", "P", "N", "C", "C", "N", "C", "C", "N", "C", "C", "H", "H", "H", "H", "H", "H", "H", "H", "H", "H", "H", "H", "H", "H", "H", "H", "H", "H", "C", "C", "N", "H", "H", "H", "C", "C", "N", "H", "H", "H", "C", "C", "N", "H", "H", "H", "C", "C", "N", "H", "H", "H", "C", "C", "N", "H", "H", "H"], "xyz": [[1.3754, 2.8904, 0.2356], [0.4866, 3.5237, 0.9912], [0.8450, 2.7319, -0.9615], [2.4737, 3.5943, 0.2097], [1.8027, 1.2760, 1.0397], [2.6779, 0.6737, 0.0995], [2.3823, 1.6118, 2.2912], [0.2652, 0.6889, 1.1591], [0.3991, -0.8504, 0.7642], [0.3446, -1.0180, -0.6575], [1.4023, -1.5595, 1.4857], [-1.1766, -1.5389, 1.4360], [-2.1939, -1.0794, 0.7284], [-1.0995, -2.8492, 1.3035], [-1.3634, -1.2650, 2.7130], [-7.5802, -4.1223, -0.8902], [-7.3622, -2.7004, -0.5881], [-6.7020, -2.4158, 0.8910], [-5.3552, -2.8968, 1.1206], [-7.5195, -2.1611, 2.0427], [-8.7717, -1.8206, -0.5641], [-9.8996, -2.3403, -1.3488], [-8.7574, -0.3964, -0.2836], [-6.3433, -1.9327, -1.6505], [-5.6631, -0.7117, -1.3187], [-6.5536, -2.2021, -3.0399], [-5.2299, -3.9655, 0.9584], [-5.0775, -2.6888, 2.1564], [-4.6954, -2.3248, 0.4706], [-7.0736, -1.3921, 2.6857], [-7.6618, -3.0951, 2.5871], [-8.4741, -1.7334, 1.7523], [-9.5861, -2.8465, -2.2658], [-10.4491, -3.0776, -0.7552], [-10.5667, -1.5251, -1.6296], [-8.0550, -0.1129, 0.4868], [-8.6095, 0.1446, -1.2290], [-9.7784, -0.1330, 0.0142], [-4.7168, -0.5989, -1.8618], [-6.3691, 0.1163, -1.4672], [-5.5419, -0.6513, -0.2360], [-6.9381, -3.2117, -3.1771], [-5.6361, -2.0583, -3.6120], [-7.3089, -1.5217, -3.4764], [8.8663, 3.0565, 0.2244], [8.0829, 3.7362, -0.8251], [8.0859, 2.9660, -2.2862], [7.7067, 3.6085, -3.5096], [8.8729, 1.7272, -2.4347], [8.7372, 5.2334, -1.2307], [10.1578, 5.2702, -1.5679], [8.2843, 6.4119, -0.5107], [6.5292, 4.0349, -0.3570], [5.5305, 4.4285, -1.3591], [6.2825, 4.4410, 1.0491], [7.1711, 2.9142, -4.1531], [8.5883, 4.0342, -4.0137], [7.0971, 4.4779, -3.3022], [8.5498, 1.1775, -3.3188], [8.7794, 1.0748, -1.5677], [9.9413, 1.9837, -2.5034], [10.3017, 6.2482, -2.0652], [10.8075, 5.3998, -0.6933], [10.4471, 4.5366, -2.3105], [7.2529, 6.6285, -0.8005], [8.3585, 6.3107, 0.5791], [8.8469, 7.3095, -0.7738], [5.8540, 5.2566, -1.9909], [5.2702, 3.5251, -1.9153], [4.5884, 4.7056, -0.8848], [7.2346, 4.5609, 1.5592], [5.6744, 3.6801, 1.5436], [5.7495, 5.3959, 1.0757], [-2.7897, 8.9721, -0.9389], [-2.0785, 7.6948, -1.0212], [-2.9186, 6.3705, -0.5262], [-2.9798, 5.9175, 0.8666], [-3.8733, 5.7885, -1.4629], [-0.7175, 7.6714, -0.0628], [0.0601, 8.8910, -0.0063], [0.0594, 6.4803, 0.1668], [-1.5828, 7.3349, -2.5521], [-1.6824, 8.3873, -3.5899], [-0.7425, 6.2211, -2.9263], [-2.4748, 4.9530, 0.9985], [-4.0295, 5.7873, 1.1469], [-2.5550, 6.6620, 1.5331], [-4.1559, 4.8151, -1.0681], [-3.4250, 5.6864, -2.4515], [-4.7712, 6.4098, -1.5658], [0.4548, 9.0197, 1.0109], [0.8982, 8.8712, -0.7154], [-0.5827, 9.7570, -0.1508], [1.0833, 6.6548, -0.1854], [0.1061, 6.2207, 1.2346], [-0.3325, 5.5773, -0.2962], [-0.8963, 9.1342, -3.4495], [-1.5642, 7.9553, -4.5814], [-2.6852, 8.7997, -3.5114], [0.2888, 6.4598, -2.6548], [-0.8964, 5.9186, -3.9563], [-1.0250, 5.3431, -2.3313], [-1.7389, -1.9714, -6.5282], [-1.1729, -2.2170, -5.1907], [-1.4718, -1.0395, -4.0318], [-1.0047, 0.2902, -4.3998], [-2.7069, -0.9727, -3.2247], [0.4667, -2.2516, -5.1781], [1.2041, -2.3741, -6.4356], [1.2536, -2.1343, -3.9589], [-1.6296, -3.6162, -4.4660], [-2.9986, -4.1637, -4.7837], [-0.8373, -4.2325, -3.4245], [-0.8074, 0.8973, -3.5070], [-1.6954, 0.8464, -5.0465], [-0.0422, 0.1600, -4.9007], [-3.5083, -0.5382, -3.8440], [-2.4975, -0.3555, -2.3464], [-3.0441, -1.9481, -2.8686], [2.2573, -2.4928, -6.1711], [0.9381, -3.2645, -7.0115], [1.0752, -1.4813, -7.0539], [1.8613, -3.0461, -3.8585], [1.9294, -1.2770, -4.0349], [0.6184, -2.1209, -3.0832], [-3.4608, -4.5591, -3.8770], [-3.6453, -3.3399, -5.0909], [-2.8916, -4.8886, -5.5923], [-0.6474, -3.5066, -2.6254], [0.1298, -4.6173, -3.7673], [-1.3815, -5.0865, -3.0341], [4.1152, -2.8267, 6.8432], [3.5720, -1.9892, 5.7615], [4.7299, -1.5409, 4.6586], [5.9151, -2.3695, 4.5237], [4.3844, -0.7778, 3.4515], [2.9014, -0.5939, 6.3627], [3.7673, 0.1722, 7.2456], [1.9925, 0.2606, 5.5908], [2.3123, -2.6575, 4.9250], [2.5086, -3.5166, 3.7358], [1.0414, -2.8332, 5.5918], [5.8428, -2.8689, 3.5508], [5.9811, -3.1292, 5.2958], [6.8200, -1.7622, 4.6032], [5.0256, 0.1089, 3.4945], [3.3325, -0.5302, 3.4584], [4.6515, -1.3243, 2.5411], [3.1492, 0.7884, 7.8950], [4.3705, -0.5064, 7.8416], [4.4299, 0.7736, 6.6062], [2.5834, 0.9788, 4.9928], [1.4822, -0.3168, 4.8170], [1.2717, 0.7566, 6.2399], [3.2993, -3.1293, 3.1013], [2.6559, -4.5525, 4.0703], [1.6039, -3.4557, 3.1251], [0.3230, -2.0465, 5.2949], [1.1246, -2.6777, 6.6688], [0.5823, -3.7878, 5.3412], [-3.5186, -8.4874, 1.4021], [-2.5204, -7.4097, 1.3597], [-2.5805, -6.4644, 2.7044], [-3.7377, -6.4022, 3.5425], [-1.5620, -5.4818, 3.0161], [-2.6044, -6.3634, 0.0791], [-1.5430, -5.4696, -0.2705], [-3.5527, -6.6184, -0.9923], [-0.9463, -7.9544, 1.3203], [-0.5976, -8.6820, 0.1271], [-0.3196, -8.4612, 2.5143], [-4.2051, -5.4132, 3.4450], [-3.4202, -6.4043, 4.5958], [-4.4230, -7.2279, 3.4030], [-0.6272, -5.7720, 2.5390], [-1.2882, -5.5097, 4.0811], [-1.9441, -4.4908, 2.7792], [-0.9477, -5.9101, -1.0782], [-1.8863, -4.4727, -0.5768], [-0.9089, -5.2185, 0.5724], [-3.8915, -5.6603, -1.3829], [-3.1383, -7.2490, -1.7928], [-4.4096, -7.1332, -0.5689], [-0.9937, -9.7084, 0.1078], [-0.9557, -8.1563, -0.7617], [0.4887, -8.7576, -0.0014], [-0.6150, -9.4987, 2.7360], [-0.5610, -7.8206, 3.3560], [0.7635, -8.5006, 2.3623], [-1.5344, 2.3562, 3.0295], [-1.8744, 3.6462, 3.6033], [-2.1144, 4.6356, 4.0806], [-1.9686, 1.5420, 3.6022], [-0.4539, 2.2853, 2.9812], [-1.9244, 2.2535, 2.0174], [5.8007, -0.5182, -0.5631], [6.8790, -1.4810, -0.7609], [7.7360, -2.2282, -0.9069], [5.2896, -0.5982, 0.3941], [5.0430, -0.6808, -1.3291], [6.2001, 0.4970, -0.6135], [3.0112, 1.7608, -3.6432], [3.1863, 3.1870, -3.8160], [3.3708, 4.2854, -4.0295], [2.4284, 1.4150, -2.7997], [4.0614, 1.4347, -3.6809], [2.6476, 1.2314, -4.5292], [-3.8542, -1.2166, 4.7117], [-3.4433, -2.5081, 5.2393], [-3.1481, -3.5574, 5.6168], [-4.6488, -0.7480, 5.2951], [-4.1966, -1.2656, 3.6798], [-3.0414, -0.4895, 4.7549], [-2.1260, 2.7347, -1.2753], [-3.4237, 2.3451, -0.7073], [-4.4895, 2.2026, -0.3135], [-1.4016, 1.9496, -1.0622], [-1.7960, 3.6417, -0.7657], [-2.2755, 2.8995, -2.3397]], "atomic_forces_ev_per_a": [[-0.3, -1.4, 1.6], [-0.6, 0.6, 0.3], [0.2, 0.1, -0.8], [0.9, 0.9, -0.7], [-1.7, 1.2, 0.1], [0.5, -0.9, -1.2], [-0.1, 0.4, 1.1], [2.0, -0.1, -0.1], [-0.6, 0.2, -0.5], [-0.5, -0.5, -0.4], [0.6, -0.5, 0.6], [0.9, 0.5, -0.6], [-0.8, 0.2, -0.2], [-0.2, -0.6, -0.2], [-0.1, 0.3, 0.6], [-0.3, -0.1, -0.6], [-0.1, 0.1, 0.2], [0.1, 0.7, -0.3], [0.2, 0.3, 0.2], [-0.1, 0.1, 0.4], [-0.2, -0.6, 0.1], [0.1, -0.2, 0.3], [-1.2, -0.1, -1.2], [0.8, -1.1, 0.6], [-1.0, 0.7, 0.6], [-0.6, 0.3, -0.7], [-0.1, -0.2, -0.1], [0.0, 0.0, -0.1], [0.4, -0.3, 0.0], [0.3, -0.3, 0.1], [-0.2, 0.1, 0.4], [-0

# Exercise
Your job: set down the notes above verbatim.

# Result
{"formula": "C48H123F6N24O10P6S2", "method": "wB97M-V/def2-TZVPD", "fmax_ev_per_a": 3.22, "total_energy_ha": -7413.3044, "homo_lumo_gap_ev": 8.46, "total_charge": -1, "lumo_energy_ev": 1.7, "mol_weight_g_mol": 1560.64, "species": ["C", "F", "F", "F", "S", "O", "O", "N", "S", "O", "O", "C", "F", "F", "F", "O", "P", "N", "C", "C", "N", "C", "C", "N", "C", "C", "H", "H", "H", "H", "H", "H", "H", "H", "H", "H", "H", "H", "H", "H", "H", "H", "H", "H", "O", "P", "N", "C", "C", "N", "C", "C", "N", "C", "C", "H", "H", "H", "H", "H", "H", "H", "H", "H", "H", "H", "H", "H", "H", "H", "H", "H", "H", "O", "P", "N", "C", "C", "N", "C", "C", "N", "C", "C", "H", "H", "H", "H", "H", "H", "H", "H", "H", "H", "H", "H", "H", "H", "H", "H", "H", "H", "O", "P", "N", "C", "C", "N", "C", "C", "N", "C", "C", "H", "H", "H", "H", "H", "H", "H", "H", "H", "H", "H", "H", "H", "H", "H", "H", "H", "H", "O", "P", "N", "C", "C", "N", "C", "C", "N", "C", "C", "H", "H", "H", "H", "H", "H", "H", "H", "H", "H", "H", "H", "H", "H", "H", "H", "H", "H", "O", "P", "N", "C", "C", "N", "C", "C", "N", "C", "C", "H", "H", "H", "H", "H", "H", "H", "H", "H", "H", "H", "H", "H", "H", "H", "H", "H", "H", "C", "C", "N", "H", "H", "H", "C", "C", "N", "H", "H", "H", "C", "C", "N", "H", "H", "H", "C", "C", "N", "H", "H", "H", "C", "C", "N", "H", "H", "H"], "xyz": [[1.3754, 2.8904, 0.2356], [0.4866, 3.5237, 0.9912], [0.8450, 2.7319, -0.9615], [2.4737, 3.5943, 0.2097], [1.8027, 1.2760, 1.0397], [2.6779, 0.6737, 0.0995], [2.3823, 1.6118, 2.2912], [0.2652, 0.6889, 1.1591], [0.3991, -0.8504, 0.7642], [0.3446, -1.0180, -0.6575], [1.4023, -1.5595, 1.4857], [-1.1766, -1.5389, 1.4360], [-2.1939, -1.0794, 0.7284], [-1.0995, -2.8492, 1.3035], [-1.3634, -1.2650, 2.7130], [-7.5802, -4.1223, -0.8902], [-7.3622, -2.7004, -0.5881], [-6.7020, -2.4158, 0.8910], [-5.3552, -2.8968, 1.1206], [-7.5195, -2.1611, 2.0427], [-8.7717, -1.8206, -0.5641], [-9.8996, -2.3403, -1.3488], [-8.7574, -0.3964, -0.2836], [-6.3433, -1.9327, -1.6505], [-5.6631, -0.7117, -1.3187], [-6.5536, -2.2021, -3.0399], [-5.2299, -3.9655, 0.9584], [-5.0775, -2.6888, 2.1564], [-4.6954, -2.3248, 0.4706], [-7.0736, -1.3921, 2.6857], [-7.6618, -3.0951, 2.5871], [-8.4741, -1.7334, 1.7523], [-9.5861, -2.8465, -2.2658], [-10.4491, -3.0776, -0.7552], [-10.5667, -1.5251, -1.6296], [-8.0550, -0.1129, 0.4868], [-8.6095, 0.1446, -1.2290], [-9.7784, -0.1330, 0.0142], [-4.7168, -0.5989, -1.8618], [-6.3691, 0.1163, -1.4672], [-5.5419, -0.6513, -0.2360], [-6.9381, -3.2117, -3.1771], [-5.6361, -2.0583, -3.6120], [-7.3089, -1.5217, -3.4764], [8.8663, 3.0565, 0.2244], [8.0829, 3.7362, -0.8251], [8.0859, 2.9660, -2.2862], [7.7067, 3.6085, -3.5096], [8.8729, 1.7272, -2.4347], [8.7372, 5.2334, -1.2307], [10.1578, 5.2702, -1.5679], [8.2843, 6.4119, -0.5107], [6.5292, 4.0349, -0.3570], [5.5305, 4.4285, -1.3591], [6.2825, 4.4410, 1.0491], [7.1711, 2.9142, -4.1531], [8.5883, 4.0342, -4.0137], [7.0971, 4.4779, -3.3022], [8.5498, 1.1775, -3.3188], [8.7794, 1.0748, -1.5677], [9.9413, 1.9837, -2.5034], [10.3017, 6.2482, -2.0652], [10.8075, 5.3998, -0.6933], [10.4471, 4.5366, -2.3105], [7.2529, 6.6285, -0.8005], [8.3585, 6.3107, 0.5791], [8.8469, 7.3095, -0.7738], [5.8540, 5.2566, -1.9909], [5.2702, 3.5251, -1.9153], [4.5884, 4.7056, -0.8848], [7.2346, 4.5609, 1.5592], [5.6744, 3.6801, 1.5436], [5.7495, 5.3959, 1.0757], [-2.7897, 8.9721, -0.9389], [-2.0785, 7.6948, -1.0212], [-2.9186, 6.3705, -0.5262], [-2.9798, 5.9175, 0.8666], [-3.8733, 5.7885, -1.4629], [-0.7175, 7.6714, -0.0628], [0.0601, 8.8910, -0.0063], [0.0594, 6.4803, 0.1668], [-1.5828, 7.3349, -2.5521], [-1.6824, 8.3873, -3.5899], [-0.7425, 6.2211, -2.9263], [-2.4748, 4.9530, 0.9985], [-4.0295, 5.7873, 1.1469], [-2.5550, 6.6620, 1.5331], [-4.1559, 4.8151, -1.0681], [-3.4250, 5.6864, -2.4515], [-4.7712, 6.4098, -1.5658], [0.4548, 9.0197, 1.0109], [0.8982, 8.8712, -0.7154], [-0.5827, 9.7570, -0.1508], [1.0833, 6.6548, -0.1854], [0.1061, 6.2207, 1.2346], [-0.3325, 5.5773, -0.2962], [-0.8963, 9.1342, -3.4495], [-1.5642, 7.9553, -4.5814], [-2.6852, 8.7997, -3.5114], [0.2888, 6.4598, -2.6548], [-0.8964, 5.9186, -3.9563], [-1.0250, 5.3431, -2.3313], [-1.7389, -1.9714, -6.5282], [-1.1729, -2.2170, -5.1907], [-1.4718, -1.0395, -4.0318], [-1.0047, 0.2902, -4.3998], [-2.7069, -0.9727, -3.2247], [0.4667, -2.2516, -5.1781], [1.2041, -2.3741, -6.4356], [1.2536, -2.1343, -3.9589], [-1.6296, -3.6162, -4.4660], [-2.9986, -4.1637, -4.7837], [-0.8373, -4.2325, -3.4245], [-0.8074, 0.8973, -3.5070], [-1.6954, 0.8464, -5.0465], [-0.0422, 0.1600, -4.9007], [-3.5083, -0.5382, -3.8440], [-2.4975, -0.3555, -2.3464], [-3.0441, -1.9481, -2.8686], [2.2573, -2.4928, -6.1711], [0.9381, -3.2645, -7.0115], [1.0752, -1.4813, -7.0539], [1.8613, -3.0461, -3.8585], [1.9294, -1.2770, -4.0349], [0.6184, -2.1209, -3.0832], [-3.4608, -4.5591, -3.8770], [-3.6453, -3.3399, -5.0909], [-2.8916, -4.8886, -5.5923], [-0.6474, -3.5066, -2.6254], [0.1298, -4.6173, -3.7673], [-1.3815, -5.0865, -3.0341], [4.1152, -2.8267, 6.8432], [3.5720, -1.9892, 5.7615], [4.7299, -1.5409, 4.6586], [5.9151, -2.3695, 4.5237], [4.3844, -0.7778, 3.4515], [2.9014, -0.5939, 6.3627], [3.7673, 0.1722, 7.2456], [1.9925, 0.2606, 5.5908], [2.3123, -2.6575, 4.9250], [2.5086, -3.5166, 3.7358], [1.0414, -2.8332, 5.5918], [5.8428, -2.8689, 3.5508], [5.9811, -3.1292, 5.2958], [6.8200, -1.7622, 4.6032], [5.0256, 0.1089, 3.4945], [3.3325, -0.5302, 3.4584], [4.6515, -1.3243, 2.5411], [3.1492, 0.7884, 7.8950], [4.3705, -0.5064, 7.8416], [4.4299, 0.7736, 6.6062], [2.5834, 0.9788, 4.9928], [1.4822, -0.3168, 4.8170], [1.2717, 0.7566, 6.2399], [3.2993, -3.1293, 3.1013], [2.6559, -4.5525, 4.0703], [1.6039, -3.4557, 3.1251], [0.3230, -2.0465, 5.2949], [1.1246, -2.6777, 6.6688], [0.5823, -3.7878, 5.3412], [-3.5186, -8.4874, 1.4021], [-2.5204, -7.4097, 1.3597], [-2.5805, -6.4644, 2.7044], [-3.7377, -6.4022, 3.5425], [-1.5620, -5.4818, 3.0161], [-2.6044, -6.3634, 0.0791], [-1.5430, -5.4696, -0.2705], [-3.5527, -6.6184, -0.9923], [-0.9463, -7.9544, 1.3203], [-0.5976, -8.6820, 0.1271], [-0.3196, -8.4612, 2.5143], [-4.2051, -5.4132, 3.4450], [-3.4202, -6.4043, 4.5958], [-4.4230, -7.2279, 3.4030], [-0.6272, -5.7720, 2.5390], [-1.2882, -5.5097, 4.0811], [-1.9441, -4.4908, 2.7792], [-0.9477, -5.9101, -1.0782], [-1.8863, -4.4727, -0.5768], [-0.9089, -5.2185, 0.5724], [-3.8915, -5.6603, -1.3829], [-3.1383, -7.2490, -1.7928], [-4.4096, -7.1332, -0.5689], [-0.9937, -9.7084, 0.1078], [-0.9557, -8.1563, -0.7617], [0.4887, -8.7576, -0.0014], [-0.6150, -9.4987, 2.7360], [-0.5610, -7.8206, 3.3560], [0.7635, -8.5006, 2.3623], [-1.5344, 2.3562, 3.0295], [-1.8744, 3.6462, 3.6033], [-2.1144, 4.6356, 4.0806], [-1.9686, 1.5420, 3.6022], [-0.4539, 2.2853, 2.9812], [-1.9244, 2.2535, 2.0174], [5.8007, -0.5182, -0.5631], [6.8790, -1.4810, -0.7609], [7.7360, -2.2282, -0.9069], [5.2896, -0.5982, 0.3941], [5.0430, -0.6808, -1.3291], [6.2001, 0.4970, -0.6135], [3.0112, 1.7608, -3.6432], [3.1863, 3.1870, -3.8160], [3.3708, 4.2854, -4.0295], [2.4284, 1.4150, -2.7997], [4.0614, 1.4347, -3.6809], [2.6476, 1.2314, -4.5292], [-3.8542, -1.2166, 4.7117], [-3.4433, -2.5081, 5.2393], [-3.1481, -3.5574, 5.6168], [-4.6488, -0.7480, 5.2951], [-4.1966, -1.2656, 3.6798], [-3.0414, -0.4895, 4.7549], [-2.1260, 2.7347, -1.2753], [-3.4237, 2.3451, -0.7073], [-4.4895, 2.2026, -0.3135], [-1.4016, 1.9496, -1.0622], [-1.7960, 3.6417, -0.7657], [-2.2755, 2.8995, -2.3397]], "atomic_forces_ev_per_a": [[-0.3, -1.4, 1.6], [-0.6, 0.6, 0.3], [0.2, 0.1, -0.8], [0.9, 0.9, -0.7], [-1.7, 1.2, 0.1], [0.5, -0.9, -1.2], [-0.1, 0.4, 1.1], [2.0, -0.1, -0.1], [-0.6, 0.2, -0.5], [-0.5, -0.5, -0.4], [0.6, -0.5, 0.6], [0.9, 0.5, -0.6], [-0.8, 0.2, -0.2], [-0.2, -0.6, -0.2], [-0.1, 0.3, 0.6], [-0.3, -0.1, -0.6], [-0.1, 0.1, 0.2], [0.1, 0.7, -0.3], [0.2, 0.3, 0.2], [-0.1, 0.1, 0.4], [-0.2, -0.6, 0.1], [0.1, -0.2, 0.3], [-1.2, -0.1, -1.2], [0.8, -1.1, 0.6], [-1.0, 0.7, 0.6], [-0.6, 0.3, -0.7], [-0.1, -0.2, -0.1], [0.0, 0.0, -0.1], [0.4, -0.3, 0.0], [0.3, -0.3, 0.1], [-0.2, 0.1, 0.4], [-0